24.1.2 Exception Architecture

The overall exception architecture of Win32 encompasses the process creation primitives, the Microsoft calling standards, and system routines that raise, dispatch, and unwind exceptions.

When an exception is initiated, an attempt is made to notify the process' debugger. If the process is not being debugged, or if the associated debugger does not handle the exception, then a search of the current thread's call frames is conducted in an attempt to locate an exception handler. If no frame-based handler can be found, or none of the frame-based handlers handle the exception, then another attempt is made to notify the process' debugger. If there is no debugger, or the associated debugger does not handle the exception then the system provides default handling based on the exception type.

Thus the search hierarchy is:

Debugger first chance

Frame-based handlers

## Inserted here: records of molecules
'''
DFT (ωB97M-V/def2-TZVPD) results for a single C9H6BrF3 molecule.

```
! wB97M-V def2-TZVPD RIJCOSX def2/J DEFGRID3
* xyz 0 1
F 1.347 -1.658 2.078
C 1.411 -2.163 0.840
C 0.692 -1.707 -0.179
F 0.783 -2.414 -1.327
C -0.207 -0.552 -0.248
C -1.466 -0.715 -0.817
C -2.330 0.359 -0.916
C -1.932 1.609 -0.472
C -0.670 1.789 0.064
C 0.197 0.713 0.192
C 1.580 0.923 0.722
F 1.767 2.197 1.136
Br 2.936 0.606 -0.703
H 2.058 -3.027 0.773
H -1.755 -1.690 -1.180
H -3.313 0.226 -1.343
H -2.602 2.450 -0.561
H -0.350 2.770 0.383
H 1.855 0.282 1.559
*
```

- SMILES: F/C=C(/F)c1ccccc1[C@H](F)Br
- Molecular weight: 251.05 g/mol
- HOMO-LUMO gap: 9.488 eV

=====

ORCA calculation (ωB97M-V/def2-TZVPD) on C4H7NO in the gas phase.

Frontier orbital gap, eV: 10.64
Energy, eV: -7797.518
Relative energy (zero: lowest compared OMol25 entry of this formula, charge and spin), eV: 2.1261
SMILES: C1OC[C@H]2N[C@@H]12

CARTESIAN COORDINATES (ANGSTROEM)
C1 0.45198 1.19063 0.37743
O1 -0.74181 1.13214 -0.38593
C2 -1.30756 -0.16109 -0.18193
C3 -0.10788 -1.06789 0.03856
N1 0.93012 -0.93494 -0.97770
C4 1.05308 -0.18875 0.26399
H1 0.22744 1.36471 1.44393
H2 1.06657 2.00716 -0.00272
H3 -1.98503 -0.18001 0.68449
H4 -1.89358 -0.39050 -1.08218
H5 -0.16121 -1.96776 0.63671
H6 0.58576 -0.31871 -1.71418
H7 1.88210 -0.48498 0.89952

Atomic forces in eV per Å
0.2 0.1 0.0
-0.1 0.1 0.0
0.0 -0.2 0.1
-0.1 -0.1 0.2
0.1 0.1 -0.2
0.0 0.1 0.4
0.1 0.1 -0.2
-0.1 0.0 -0.1
0.1 0.1 0.0
0.2 -0.1 0.2
-0.3 -0.3 -0.5
0.0 -0.1 0.0
-0.2 0.1 0.0

=====

The molecule C3H6FIO2 in a non-equilibrium geometry. Source: OMol25; level of theory: ωB97M-V/def2-TZVPD.

As for the max |F|: 0.09224 Eh/bohr. For the HOMO energy, the calculation gives -9.34 eV. Its SMILES is C[C@](F)(I)C(O)O. The calculation puts the frontier orbital gap at 9.84 eV.

Structure (ORCA input):
```
! wB97M-V def2-TZVPD RIJCOSX def2/J DEFGRID3
* xyz 0 1
C -0.0433 -0.9808 0.0883
H 1.8458 -1.3935 -0.9858
I -1.2780 -2.2196 -1.2389
H 2.0261 -0.5732 0.4431
H -0.7953 0.9847 -0.8503
H -0.7794 1.1938 1.9315
H -2.9817 0.3458 -0.0697
O -0.5986 1.5597 0.9566
C 1.3533 -0.7017 -0.3368
F -0.1136 -1.6989 1.2128
O -2.3461 0.1787 0.6167
C -1.0555 0.5500 0.1854
H 1.5391 0.1988 -0.8179
*
```

A cluster of 2 separate species, C3H6FN in total in a non-equilibrium geometry. Source: OMol25; level of theory: ωB97M-V/def2-TZVPD.

As for the max |F|: 0.02029 Eh/bohr. For the HOMO energy, the calculation gives -11.16 eV. The calculation puts the frontier orbital gap at 12.14 eV.

Structure (ORCA input):
```
! wB97M-V def2-TZVPD RIJCOSX def2/J DEFGRID3
* xyz 0 1
H 2.7427 -0.9552 -0.6221
C -0.9853 -1.5698 -0.0980
H 2.7136 -0.1060 0.9637
H -1.1381 1.4778 -0.4971
H -2.8052 0.8733 -0.7023
H -2.1386 1.1105 0.9327
C -1.9042 0.8144 -0.0916
N -1.4160 -0.4917 -0.0973
F 1.4556 0.5556 -0.4275
C 2.1141 -0.5014 0.1434
H 1.3613 -1.2077 0.4961
*
```

The molecule C3H6FN in a non-equilibrium geometry. Source: OMol25; level of theory: ωB97M-V/def2-TZVPD.
'''

Debugger second chance Frame-Based Exception Handlers

An exception handler can be associated with each call frame in the procedure call hierarchy of a program. This requires that each procedure or function that either saves nonvolatile registers or establishes an associated exception handler, have a call frame.

Microsoft compilers for Win32 adhere to a standard calling convention for the construction of a call frame. Exception Dispatching

When a hardware exception occurs, the Win32 trap handling software gets control and saves the hardware state of the current thread in a context record. The reason for the trap is determined, and an exception record is constructed which describes the exception and any pertinent parameters. Executive software is then called to dispatch the exception.

If the previous processor mode was kernel, then the exception dispatcher is called to search the kernel stack call frames in an attempt to locate an exception handler. If a frame-based handler cannot be located, or no frame-based handler handles the exception, then the system is shut down as in ExitWindows. Unhandled exceptions emanating from within privileged software are considered fatal bugs.

If the previous processor mode was user, then an attempt is made to notify the process' debugger. This notification includes the exception record and the identification of the thread. The debugger may handle the exception (e.g., breakpoint or single step) and modify the thread state as appropriate, or not handle the exception and defer to any frame-based exception handlers found on the user stack.

If the debugger indicates that it has handled the exception, then the machine state is restored and thread execution is continued. Otherwise, if the debugger indicates that it has not handled the exception, or there is no debugger, then the exception dispatcher is invoked to search for frame-based exception handlers.

If a frame-based handler handles the exception, then thread execution is continued. Otherwise, if no frame-based handler is found, or no frame-based handler handles the exception, then the debugger (if present) is given a second chance to handle the exception. If the exception remains unhandled, the system default action is taken. For most exceptions, the default action is to call ExitProcess. Exception Handling and Unwind

During the dispatching of an exception, each frame-based handler is called specifying the associated exception and context records as parameters. The exception handler can handle the exception and continue execution, not handle the exception and continue the search for an exception handler, or handle the exception and initiate an unwind operation.

Misplaced records of molecules.
178
Properties=species:S:1:pos:R:3 method="wB97M-V/def2-TZVPD" homo_lumo_gap_ev=10.595 homo_ha=-0.375 e_tot_ha=-5647.81853 charge=0
C 1.49750 -0.25540 4.15200
O 2.02973 -1.47669 3.60418
P 2.82233 -2.51601 4.50584
O 4.08950 -2.06066 5.07773
O 1.78681 -2.82139 5.67954
C 2.19363 -3.49565 6.86995
O 2.87115 -3.84355 3.64349
C 1.65951 -4.34150 3.02782
H 0.42695 -0.43937 4.25992
H 1.71385 0.55587 3.46451
H 1.83260 -0.06632 5.17184
H 2.39828 -2.68898 7.57577
H 3.04383 -4.14509 6.66327
H 1.39530 -4.10498 7.29347
H 1.32566 -5.27689 3.47955
H 2.04538 -4.65948 2.05510
H 0.86063 -3.60718 3.01065
C 5.87170 0.09237 1.74737
O 5.77871 0.20210 0.33768
P 5.62622 1.65930 -0.34134
O 5.55135 2.79841 0.59042
O 4.31693 1.51633 -1.22389
C 4.18954 0.55857 -2.27343
O 6.81857 1.72104 -1.40481
C 8.14253 1.44890 -0.93904
H 6.21340 -0.90327 2.01250
H 4.91130 0.37230 2.19008
H 6.54119 0.81279 2.22804
H 3.95921 1.00078 -3.23962
H 3.33715 -0.08003 -2.01729
H 4.99614 -0.17576 -2.29089
H 8.20536 1.30775 0.14368
H 8.83397 2.22266 -1.25438
H 8.41165 0.45116 -1.29366
C 5.28478 -3.62521 0.63332
O 6.23272 -2.72539 0.08578
C 7.46134 -3.14602 -0.15789
O 8.38549 -2.44732 -0.44537
O 7.60582 -4.46074 0.12774
C 8.88245 -5.03475 -0.12650
H 5.60288 -4.12545 1.54638
H 5.05031 -4.49827 0.01691
H 4.31472 -3.13490 0.61047
H 9.58380 -4.46794 0.48724
H 9.17742 -5.11582 -1.17050
H 8.81613 -6.04526 0.27593
C -5.81059 -1.92175 -0.30346
O -4.50762 -1.97643 0.25581
C -4.18001 -1.07513 1.17205
O -4.97037 -0.40343 1.79397
O -2.88131 -1.14625 1.36433
C -2.26900 -0.53849 2.49022
H -5.79674 -1.30369 -1.20280
H -6.56289 -1.64471 0.42861
H -6.08095 -2.90040 -0.70155
H -1.22969 -0.85084 2.56411
H -2.75904 -0.90344 3.39443
H -2.34716 0.54415 2.42223
C -0.42617 2.89534 3.63066
O -0.99527 1.72897 4.24525
C -1.75156 1.91536 5.31200
O -1.86011 2.90341 5.97254
O -2.40094 0.76207 5.53483
C -3.28544 0.76094 6.64245
H -1.26712 3.37569 3.13698
H 0.30545 2.60185 2.88353
H 0.00729 3.59149 4.34628
H -3.88076 -0.14204 6.53393
H -3.94447 1.62808 6.64877
H -2.76147 0.73993 7.59926
C 3.31939 -5.57160 -1.67806
O 2.48564 -4.93947 -2.63010
C 2.46138 -3.59352 -2.67368
O 3.10769 -2.86978 -1.95368
O 1.65922 -3.24508 -3.63607
C 1.58479 -1.89112 -4.03186
H 3.17201 -6.64606 -1.70577
H 3.04968 -5.20055 -0.68775
H 4.36423 -5.32024 -1.86482
H 2.47190 -1.58306 -4.58636
H 1.29745 -1.29499 -3.16333
H 0.77070 -1.81632 -4.75264
C -5.69035 1.33353 -2.26948
O -5.88436 2.67976 -2.64127
C -5.21819 3.64509 -1.99652
O -4.38295 3.43543 -1.15279
O -5.59598 4.78497 -2.51900
C -5.08155 5.98161 -1.92502
H -6.67526 0.87489 -2.15666
H -5.12676 1.25408 -1.34180
H -5.21573 0.76882 -3.07411
H -4.02339 5.87872 -1.70993
H -5.62809 6.25741 -1.02318
H -5.26919 6.80367 -2.61107
C -0.74883 -3.41877 0.15128
O 0.22846 -4.34350 -0.30350
C 0.05550 -5.59566 0.07523
O -0.72794 -6.00672 0.88967
O 0.99380 -6.33771 -0.53185
C 1.14812 -7.67893 -0.16100
H -0.52764 -3.08664 1.16856
H -1.80054 -3.70232 0.14104
H -0.71284 -2.52664 -0.46415
H 0.68558 -8.31633 -0.92137

Handling an exception may be as simple as noting an error and setting a flag that will be examined later, printing a warning or error message, or taking some other overt action. If execution can be continued, then it may be necessary to change the machine state by modifying the context record (e.g., advance the continuation instruction address).

If execution can be continued, then the exception handler returns to the exception dispatcher with a status code that specifies that execution should be continued. Continuing execution causes the exception dispatcher to stop its search for an exception handler. The machine state from the context record is restored and execution is continued accordingly.

........
Entry from OMol25: C32H26F5N2O2S3Se2Ti as an isolated structure in a non-equilibrium geometry (ωB97M-V/def2-TZVPD).

CARTESIAN COORDINATES (ANGSTROEM)
1 Ti 0.422 -0.391 0.331
2 O 0.866 1.308 0.667
3 S 0.692 2.720 1.383
4 C -0.237 3.723 0.168
5 C -1.306 2.958 -0.602
6 C -2.421 2.402 0.286
7 C -3.344 1.394 -0.396
8 S -2.389 0.055 -1.156
9 O -1.393 -0.310 0.020
10 C -3.539 -1.280 -1.180
11 C -3.526 -2.274 -0.210
12 C -4.451 -3.301 -0.323
13 C -5.358 -3.315 -1.378
14 C -5.346 -2.311 -2.337
15 C -4.419 -1.284 -2.256
16 C 2.289 3.421 1.307
17 C 2.999 3.462 0.103
18 C 4.238 4.070 0.105
19 C 4.739 4.634 1.281
20 C 4.016 4.585 2.463
21 C 2.775 3.963 2.490
22 H 0.503 4.176 -0.489
23 H -0.662 4.501 0.810
24 H -0.815 2.167 -1.168
25 H -1.713 3.644 -1.347
26 H -3.045 3.217 0.660
27 H -1.992 1.921 1.164
28 H -3.888 1.831 -1.239
29 H -4.060 0.944 0.292
30 H -2.822 -2.255 0.610
31 H -4.466 -4.092 0.416
32 H -6.076 -4.122 -1.456
33 H -6.049 -2.331 -3.160
34 H -4.391 -0.512 -3.019
35 H 2.595 3.031 -0.806
36 H 4.814 4.120 -0.809
37 H 5.706 5.122 1.267
38 H 4.414 5.028 3.367
39 H 2.200 3.917 3.409
40 Se 2.108 -0.570 3.176
41 Se 1.282 -2.518 2.158
42 C 2.459 -2.434 0.649
43 C 3.307 -3.467 0.335
44 C 4.184 -3.272 -0.729
45 C 4.186 -2.052 -1.386
46 C 3.263 -1.091 -1.027
47 N 2.375 -1.285 -0.035
48 C 0.330 0.071 3.541
49 C 0.040 0.635 4.767
50 C -1.282 0.973 5.027
51 C -2.249 0.689 4.075
52 C -1.854 0.129 2.873
53 N -0.577 -0.148 2.588
54 H 3.310 -4.374 0.923
55 H 4.877 -4.054 -1.013
56 H 4.885 -1.846 -2.185
57 H 3.208 -0.147 -1.543
58 H 0.815 0.766 5.512
59 H -1.557 1.411 5.979
60 H -3.297 0.883 4.264
61 H -2.575 -0.120 2.105
62 F 0.566 -5.248 -4.369
63 C 0.575 -4.041 -3.845
64 C 0.240 -3.859 -2.514
65 F -0.087 -4.886 -1.742
66 C 0.269 -2.580 -2.011
67 F -0.057 -2.408 -0.678
68 C 0.613 -1.462 -2.736
69 S 0.649 0.153 -2.034
70 C 0.946 -1.677 -4.066
71 F 1.301 -0.649 -4.825
72 C 0.927 -2.945 -4.619
73 F 1.256 -3.118 -5.883

Forces on the atoms, in the same order (eV/Å):
Ti 0.7008 -0.6536 -0.1539
O 0.1250 1.0370 -0.0636
S -0.0300 -0.0128 -0.0607
C -0.0088 -0.0905 0.0036
C -0.0143 -0.0065 0.1287
C -0.0023 0.0593 -0.0499
C 0.1111 0.0770 0.0133
S 0.0483 -0.0779 0.1565
O -1.3609 0.0919 -0.1863
C 0.1187 -0.0614 0.0104
C -0.1587 0.0314 -0.0200
C 0.0025 0.0037 0.0053
C 0.0042 -0.0058 0.0082
C -0.0758 -0.0442 -0.0273
C 0.0235 0.0352 -0.0513
C -0.1524 -0.0653 -0.0564
C 0.0605 0.0846 0.0833
C 0.0110 0.0016 -0.0072
C 0.0146 0.0010 -0.0386
C 0.0022 0.0149 0.0614
C 0.0801 0.0013 0.0525
H -0.0174 -0.0046 -0.0500
H 0.0387 0.0358 -0.0434
H 0.0128 -0.0415 -0.0798
H -0.0126 0.0467 0.0059
H -0.0122 -0.0098 -0.0143
H 0.0216 0.0066 0.0669
H -0.0241 -0.0194 0.0288
H -0.0064 0.0327 0.0073
H 0.0367 0.0061 -0.0044
H -0.0055 0.0117 -0.0275
H 0.0205 0.0294 0.0059
H 0.0139 -0.0132 0.0272
H 0.0230 -0.0594 0.0419
H -0.0078 -0.0043 0.0088
H -0.0040 0.0047 0.0406
H -0.0335 -0.0213 -0.0040
H -0.0012 -0.0050 -0.0328
H 0.0118 -0.0067 -0.0495
Se 0.0828 0.0358 0.1298
Se -0.2192 0.0706 -0.3557
........
Here the piece continues:

If execution of the thread cannot be continued, then the exception handler usually initiates an unwind operation by calling a system supplied function specifying a target call frame and a continuation address. The unwind function walks the stack backwards searching for the target call frame. As it walks the stack, the unwind function calls each exception handler that is encountered to allow it to perform any cleanup actions that may be necessary (e.g., release a semaphore, etc.). When the target call frame is reached, the machine state is restored and execution is continued at the specified address.